Given:
- - -
C35H44N3O14P2S3 | ωB97M-V with the def2-TZVPD basis set

Computed properties:
E (Ha): -4454.86041
Net charge: +1
Orbital gap (eV): 5.81
Spin multiplicity: 1
Energy above the lowest of the compared OMol25 structures with the same formula, charge and spin (eV): 0.0000
HOMO (eV): -10.1
Max |F| (eV/Å): 2.077
LUMO energy (Eh): -0.158

Each line ends with the Mulliken charge.
Atoms and positions in Å:
N1 -2.351 -4.883 3.748  -0.592
C1 -1.902 -3.486 3.966  -0.929
C2 -2.245 -2.628 2.777  -0.316
N2 -1.483 -2.770 1.689  0.306
C3 -1.692 -2.098 0.554  -0.459
C4 -2.716 -1.197 0.427  -0.002
C5 -2.879 -0.515 -0.923  -0.890
C6 -2.759 1.047 -0.841  0.126
C7 -1.372 1.357 -1.493  -0.340
S1 -0.778 3.030 -1.145  -0.255
C8 0.955 2.872 -0.738  0.368
S2 1.845 4.223 -0.775  -0.130
N3 1.380 1.552 -0.337  1.186
C9 2.075 1.526 0.927  -1.051
C10 1.371 0.949 1.966  0.383
C11 1.865 0.845 3.246  -0.063
C12 3.140 1.332 3.504  -0.246
C13 3.856 1.914 2.468  -1.026
C14 3.346 2.015 1.187  -0.392
C15 2.070 0.798 -1.358  -0.561
C16 1.941 -0.586 -1.294  0.288
C17 2.523 -1.409 -2.224  -0.702
C18 3.268 -0.889 -3.277  -0.769
C19 3.400 0.486 -3.333  -0.648
C20 2.814 1.320 -2.397  -0.287
C21 -3.551 -1.003 1.557  1.059
C22 -4.743 -0.046 1.470  -0.172
O1 -5.840 -0.539 1.357  -0.456
O2 -4.594 1.324 1.462  -0.202
P1 -4.442 2.053 2.977  -0.184
P2 -2.312 2.510 3.198  0.968
O3 -1.840 3.260 2.046  -0.567
O4 -1.426 1.153 3.487  -0.009
O5 -2.133 3.450 4.518  -0.512
C23 -3.303 -1.727 2.731  0.523
S3 -4.319 -1.525 4.198  -0.147
H1 -2.566 -5.313 4.641  0.288
H2 -3.202 -4.917 3.194  0.234
H3 -0.817 -3.509 4.143  0.268
H4 -2.366 -3.118 4.885  0.454
H5 -0.716 -3.436 1.755  0.360
H6 -1.022 -2.310 -0.277  0.665
H7 -2.056 -0.887 -1.552  -0.025
H8 -3.802 -0.848 -1.420  0.642
H9 -3.539 1.559 -1.410  0.509
H10 -2.698 1.369 0.200  -0.343
H11 -1.435 1.154 -2.564  0.467
H12 -0.702 0.581 -1.101  -0.168
H13 0.366 0.573 1.761  0.371
H14 1.241 0.398 4.031  0.137
H15 3.581 1.262 4.498  0.327
H16 4.838 2.306 2.732  0.358
H17 3.915 2.501 0.398  0.510
H18 1.337 -1.031 -0.500  0.289
H19 2.384 -2.488 -2.149  0.375
H20 3.708 -1.537 -4.031  0.459
H21 3.966 0.872 -4.178  0.491
H22 2.935 2.395 -2.511  0.356
H23 -4.693 1.073 3.969  0.046
H24 -1.096 1.208 4.396  0.081
H25 -2.219 2.898 5.313  0.294
H26 -5.147 -2.591 4.074  0.236
C24 -2.252 -3.955 -5.330  -1.454
C25 -1.923 -2.477 -5.304  0.456
C26 -0.845 -2.045 -6.262  -0.648
O6 -0.350 -0.854 -5.630  -0.215
C27 -0.556 -1.000 -4.299  0.275
O7 -0.109 -0.282 -3.463  -0.123
O8 -1.342 -2.083 -4.043  -0.264
H27 -3.097 -4.145 -5.990  0.397
H28 -1.412 -4.549 -5.695  0.348
H29 -2.500 -4.317 -4.333  0.339
H30 -2.836 -1.889 -5.438  0.309
H31 -1.220 -1.829 -7.259  0.333
H32 -0.020 -2.757 -6.332  0.337
C28 2.775 0.143 9.057  -1.383
C29 2.487 -0.464 7.699  0.496
C30 1.528 0.316 6.841  -0.571
O9 1.002 -0.710 5.980  -0.226
C31 1.071 -1.874 6.683  0.480
O10 0.556 -2.890 6.336  -0.537
O11 1.789 -1.720 7.815  -0.365
H33 3.680 0.748 9.018  0.360
H34 1.962 0.790 9.391  0.344
H35 2.907 -0.634 9.809  0.360
H36 3.424 -0.662 7.172  0.297
H37 2.013 1.100 6.263  0.335
H38 0.694 0.745 7.403  0.320
C32 0.653 2.998 -8.280  -1.334
C33 1.674 2.333 -7.380  0.760
C34 1.942 3.047 -6.082  -0.434
O12 3.264 2.594 -5.765  -0.283
C35 3.878 2.313 -6.947  0.581
O13 5.035 2.079 -7.064  -0.543
O14 2.985 2.338 -7.972  -0.401
H39 -0.335 2.569 -8.117  0.314
H40 0.580 4.069 -8.085  0.321
H41 0.919 2.873 -9.329  0.362
H42 1.399 1.287 -7.210  0.135
H43 1.239 2.780 -5.294  0.202
H44 1.973 4.134 -6.185  0.339

----------

{
  "formula": "C26H35GeN6NiO2PS2",
  "method": "wB97M-V/def2-TZVPD",
  "energy_ha": -6213.45653,
  "multiplicity": 3,
  "s_squared": 2.031,
  "homo_lumo_gap_ev": [1.80, 4.64],
  "e_homo_ev": [-3.141, -5.974],
  "relative_energy_ev": 2.291,
- - -
Job:
Now copy the lines further up from the one with "0.081" to the one with "wB97M-V/def2-TZVPD" word for word.
Written answer:
H24 -1.096 1.208 4.396  0.081
H25 -2.219 2.898 5.313  0.294
H26 -5.147 -2.591 4.074  0.236
C24 -2.252 -3.955 -5.330  -1.454
C25 -1.923 -2.477 -5.304  0.456
C26 -0.845 -2.045 -6.262  -0.648
O6 -0.350 -0.854 -5.630  -0.215
C27 -0.556 -1.000 -4.299  0.275
O7 -0.109 -0.282 -3.463  -0.123
O8 -1.342 -2.083 -4.043  -0.264
H27 -3.097 -4.145 -5.990  0.397
H28 -1.412 -4.549 -5.695  0.348
H29 -2.500 -4.317 -4.333  0.339
H30 -2.836 -1.889 -5.438  0.309
H31 -1.220 -1.829 -7.259  0.333
H32 -0.020 -2.757 -6.332  0.337
C28 2.775 0.143 9.057  -1.383
C29 2.487 -0.464 7.699  0.496
C30 1.528 0.316 6.841  -0.571
O9 1.002 -0.710 5.980  -0.226
C31 1.071 -1.874 6.683  0.480
O10 0.556 -2.890 6.336  -0.537
O11 1.789 -1.720 7.815  -0.365
H33 3.680 0.748 9.018  0.360
H34 1.962 0.790 9.391  0.344
H35 2.907 -0.634 9.809  0.360
H36 3.424 -0.662 7.172  0.297
H37 2.013 1.100 6.263  0.335
H38 0.694 0.745 7.403  0.320
C32 0.653 2.998 -8.280  -1.334
C33 1.674 2.333 -7.380  0.760
C34 1.942 3.047 -6.082  -0.434
O12 3.264 2.594 -5.765  -0.283
C35 3.878 2.313 -6.947  0.581
O13 5.035 2.079 -7.064  -0.543
O14 2.985 2.338 -7.972  -0.401
H39 -0.335 2.569 -8.117  0.314
H40 0.580 4.069 -8.085  0.321
H41 0.919 2.873 -9.329  0.362
H42 1.399 1.287 -7.210  0.135
H43 1.239 2.780 -5.294  0.202
H44 1.973 4.134 -6.185  0.339

----------

{
  "formula": "C26H35GeN6NiO2PS2",
  "method": "wB97M-V/def2-TZVPD",